+++
Record 1
Density functional theory data (ωB97M-V/def2-TZVPD) for a structure of composition C28H35BFeO2S2 at a distorted geometry.

Geometry as ORCA input:
```
! wB97M-V def2-TZVPD RIJCOSX def2/J DEFGRID3
* xyz 0 5
C -3.10 -5.84 3.82
C -3.02 -4.55 3.10
C -4.02 -3.62 2.87
C -3.57 -2.46 2.15
C -2.22 -2.50 1.87
B -1.38 -1.60 0.75
C -0.73 -0.40 1.61
C -1.42 0.59 2.28
C -0.59 1.29 3.23
C 0.71 0.82 3.26
C 1.73 1.14 4.28
S 0.97 -0.40 2.05
O -0.49 -2.54 0.15
C -1.04 -2.83 -1.13
C 0.17 -2.99 -2.05
C -1.86 -4.11 -1.11
C -2.02 -1.57 -1.36
C -1.18 -0.42 -1.79
C -3.17 -1.68 -2.37
O -2.52 -1.29 -0.08
S -1.53 -4.02 2.37
H -4.12 -5.98 4.19
H -2.84 -6.67 3.17
H -2.41 -5.83 4.68
H -5.06 -3.75 3.16
H -4.22 -1.64 1.87
H -2.49 0.76 2.16
H -0.96 2.05 3.93
H 1.46 2.08 4.78
H 1.79 0.34 5.03
H 2.72 1.25 3.80
H -0.12 -3.06 -3.11
H 0.91 -2.18 -1.93
H 0.67 -3.93 -1.79
H -2.09 -4.36 -2.15
H -1.28 -4.92 -0.66
H -2.79 -3.96 -0.55
H -1.01 -0.53 -2.87
H -1.66 0.54 -1.58
H -0.22 -0.43 -1.25
H -2.77 -1.77 -3.39
H -3.84 -2.53 -2.17
H -3.75 -0.75 -2.32
C 0.79 1.20 -2.81
C 0.97 1.51 -1.39
C 1.07 2.86 -1.00
C 1.51 3.38 0.32
C 1.77 4.79 0.20
C 1.52 5.19 -1.17
C 1.12 4.02 -1.92
Fe 2.86 3.69 -1.07
C 3.93 3.02 -2.61
C 4.28 2.29 -1.40
C 4.68 3.24 -0.39
C 4.59 4.58 -0.97
C 4.13 4.44 -2.35
H 0.70 0.14 -2.99
H -0.15 1.66 -3.16
H 1.59 1.56 -3.47
H 1.10 0.75 -0.61
H 1.52 2.76 1.21
H 2.02 5.46 1.02
H 1.56 6.22 -1.55
H 0.83 3.98 -2.96
H 3.66 2.57 -3.56
H 4.32 1.21 -1.31
H 5.08 2.99 0.59
H 4.89 5.50 -0.48
H 4.00 5.24 -3.07
*
```

- total energy (eV) = -90426.5098
- ΔE to the lowest compared entry with this formula, charge and spin (kcal/mol) = 47.6
- HOMO (alpha / beta) (hartree) = -0.149 / -0.299

Atom charges from the natural (NBO) analysis, given in e for atoms 1 to 6: C -0.665; C -0.055; C -0.289; C -0.178; C -0.150; B 0.761

Record 2
Density functional theory data (ωB97M-V/def2-TZVPD) for a structure of composition C39H44N3O19 at a distorted geometry.

Geometry as ORCA input:
```
! wB97M-V def2-TZVPD RIJCOSX def2/J DEFGRID3
* xyz -1 1
C 0.07 -1.56 -1.94
C -0.42 -0.76 -0.74
O -1.59 -0.29 -0.78
N 0.33 -0.63 0.59
H -0.29 -1.15 1.31
H 1.28 -1.04 0.51
C 0.35 0.76 1.01
H 0.02 -2.68 -1.56
H 1.17 -1.60 -1.94
H -0.16 -1.19 -2.86
H -0.70 0.96 1.29
H 0.80 1.18 0.23
H 1.05 0.92 1.84
N 2.54 1.64 -2.85
O 2.57 0.40 -3.06
O 1.89 2.33 -3.55
O 2.88 2.08 -1.73
N 3.34 -2.62 0.67
O 2.99 -1.46 0.48
O 2.42 -3.50 0.67
O 4.50 -2.90 0.98
C -1.41 -2.05 2.40
C -0.66 -3.11 1.63
C -1.21 -3.49 0.25
O 0.57 -2.49 1.27
H -2.34 -2.61 2.55
H -1.52 -1.09 1.89
H -0.92 -1.98 3.40
H -0.51 -3.82 2.24
H -2.12 -3.98 0.27
H -0.56 -4.11 -0.27
H -1.63 -2.61 -0.33
H 1.18 -3.11 1.04
C 5.78 -1.53 4.18
C 5.26 -2.31 3.05
C 3.64 -2.11 2.96
O 5.88 -2.10 1.87
H 5.76 -0.38 4.16
H 7.01 -1.95 4.28
H 5.47 -1.68 5.27
H 5.17 -3.13 3.27
H 3.26 -2.36 1.90
H 3.40 -1.00 3.15
H 3.19 -2.70 3.71
H 5.48 -2.73 1.22
C -3.07 3.50 3.78
C -4.34 3.47 4.70
C -5.32 2.40 4.39
O -6.43 2.24 4.96
C -5.09 1.47 3.37
C -3.83 1.29 2.76
C -2.76 2.48 2.87
O -1.91 2.43 2.05
H -2.37 4.16 4.07
H -4.33 4.25 5.53
H -5.84 0.73 2.99
H -3.64 0.62 2.02
C -4.75 0.04 -6.09
C -3.87 -1.10 -5.58
C -3.43 -0.98 -4.17
O -2.69 -1.94 -3.57
C -3.90 0.06 -3.30
C -4.90 1.07 -3.80
C -5.36 1.22 -5.19
O -6.05 2.04 -5.63
H -4.75 0.32 -7.23
H -3.41 -1.82 -6.15
H -3.48 0.03 -2.25
H -5.01 2.03 -3.27
C 2.54 4.46 -0.31
C 1.60 3.82 0.74
C 2.37 2.95 1.84
O 1.72 2.29 2.69
C 3.80 2.76 1.69
C 4.52 3.25 0.53
C 3.86 3.98 -0.64
O 4.53 4.13 -1.63
H 2.12 4.99 -1.02
H 0.52 4.07 0.84
H 4.26 2.25 2.40
H 5.74 3.00 0.50
C -1.76 6.66 1.04
C -2.47 5.29 0.93
C -1.62 4.27 0.14
O -1.95 3.12 0.03
C -0.51 4.76 -0.67
C -0.16 6.18 -0.78
C -0.70 7.16 0.25
O -0.25 8.25 0.40
H -2.21 7.40 1.91
H -3.06 4.94 1.66
H 0.08 3.99 -1.18
H 0.71 6.71 -1.41
C -0.67 -6.24 -4.45
C -1.23 -5.72 -3.13
C -0.16 -5.48 -2.05
O -0.42 -5.22 -0.84
C 1.34 -5.54 -2.45
C 1.71 -5.95 -3.82
C 0.75 -6.52 -4.71
O 0.97 -7.08 -5.85
H -1.43 -6.48 -5.25
H -2.27 -5.71 -2.93
H 2.18 -5.01 -1.70
H 2.83 -6.28 -3.97
*
```
+++
The reader should start at the top of the contents above and transcribe each line, ending with the one that has "-1.76 6.66".
Record 1
Density functional theory data (ωB97M-V/def2-TZVPD) for a structure of composition C28H35BFeO2S2 at a distorted geometry.

Geometry as ORCA input:
```
! wB97M-V def2-TZVPD RIJCOSX def2/J DEFGRID3
* xyz 0 5
C -3.10 -5.84 3.82
C -3.02 -4.55 3.10
C -4.02 -3.62 2.87
C -3.57 -2.46 2.15
C -2.22 -2.50 1.87
B -1.38 -1.60 0.75
C -0.73 -0.40 1.61
C -1.42 0.59 2.28
C -0.59 1.29 3.23
C 0.71 0.82 3.26
C 1.73 1.14 4.28
S 0.97 -0.40 2.05
O -0.49 -2.54 0.15
C -1.04 -2.83 -1.13
C 0.17 -2.99 -2.05
C -1.86 -4.11 -1.11
C -2.02 -1.57 -1.36
C -1.18 -0.42 -1.79
C -3.17 -1.68 -2.37
O -2.52 -1.29 -0.08
S -1.53 -4.02 2.37
H -4.12 -5.98 4.19
H -2.84 -6.67 3.17
H -2.41 -5.83 4.68
H -5.06 -3.75 3.16
H -4.22 -1.64 1.87
H -2.49 0.76 2.16
H -0.96 2.05 3.93
H 1.46 2.08 4.78
H 1.79 0.34 5.03
H 2.72 1.25 3.80
H -0.12 -3.06 -3.11
H 0.91 -2.18 -1.93
H 0.67 -3.93 -1.79
H -2.09 -4.36 -2.15
H -1.28 -4.92 -0.66
H -2.79 -3.96 -0.55
H -1.01 -0.53 -2.87
H -1.66 0.54 -1.58
H -0.22 -0.43 -1.25
H -2.77 -1.77 -3.39
H -3.84 -2.53 -2.17
H -3.75 -0.75 -2.32
C 0.79 1.20 -2.81
C 0.97 1.51 -1.39
C 1.07 2.86 -1.00
C 1.51 3.38 0.32
C 1.77 4.79 0.20
C 1.52 5.19 -1.17
C 1.12 4.02 -1.92
Fe 2.86 3.69 -1.07
C 3.93 3.02 -2.61
C 4.28 2.29 -1.40
C 4.68 3.24 -0.39
C 4.59 4.58 -0.97
C 4.13 4.44 -2.35
H 0.70 0.14 -2.99
H -0.15 1.66 -3.16
H 1.59 1.56 -3.47
H 1.10 0.75 -0.61
H 1.52 2.76 1.21
H 2.02 5.46 1.02
H 1.56 6.22 -1.55
H 0.83 3.98 -2.96
H 3.66 2.57 -3.56
H 4.32 1.21 -1.31
H 5.08 2.99 0.59
H 4.89 5.50 -0.48
H 4.00 5.24 -3.07
*
```

- total energy (eV) = -90426.5098
- ΔE to the lowest compared entry with this formula, charge and spin (kcal/mol) = 47.6
- HOMO (alpha / beta) (hartree) = -0.149 / -0.299

Atom charges from the natural (NBO) analysis, given in e for atoms 1 to 6: C -0.665; C -0.055; C -0.289; C -0.178; C -0.150; B 0.761

Record 2
Density functional theory data (ωB97M-V/def2-TZVPD) for a structure of composition C39H44N3O19 at a distorted geometry.

Geometry as ORCA input:
```
! wB97M-V def2-TZVPD RIJCOSX def2/J DEFGRID3
* xyz -1 1
C 0.07 -1.56 -1.94
C -0.42 -0.76 -0.74
O -1.59 -0.29 -0.78
N 0.33 -0.63 0.59
H -0.29 -1.15 1.31
H 1.28 -1.04 0.51
C 0.35 0.76 1.01
H 0.02 -2.68 -1.56
H 1.17 -1.60 -1.94
H -0.16 -1.19 -2.86
H -0.70 0.96 1.29
H 0.80 1.18 0.23
H 1.05 0.92 1.84
N 2.54 1.64 -2.85
O 2.57 0.40 -3.06
O 1.89 2.33 -3.55
O 2.88 2.08 -1.73
N 3.34 -2.62 0.67
O 2.99 -1.46 0.48
O 2.42 -3.50 0.67
O 4.50 -2.90 0.98
C -1.41 -2.05 2.40
C -0.66 -3.11 1.63
C -1.21 -3.49 0.25
O 0.57 -2.49 1.27
H -2.34 -2.61 2.55
H -1.52 -1.09 1.89
H -0.92 -1.98 3.40
H -0.51 -3.82 2.24
H -2.12 -3.98 0.27
H -0.56 -4.11 -0.27
H -1.63 -2.61 -0.33
H 1.18 -3.11 1.04
C 5.78 -1.53 4.18
C 5.26 -2.31 3.05
C 3.64 -2.11 2.96
O 5.88 -2.10 1.87
H 5.76 -0.38 4.16
H 7.01 -1.95 4.28
H 5.47 -1.68 5.27
H 5.17 -3.13 3.27
H 3.26 -2.36 1.90
H 3.40 -1.00 3.15
H 3.19 -2.70 3.71
H 5.48 -2.73 1.22
C -3.07 3.50 3.78
C -4.34 3.47 4.70
C -5.32 2.40 4.39
O -6.43 2.24 4.96
C -5.09 1.47 3.37
C -3.83 1.29 2.76
C -2.76 2.48 2.87
O -1.91 2.43 2.05
H -2.37 4.16 4.07
H -4.33 4.25 5.53
H -5.84 0.73 2.99
H -3.64 0.62 2.02
C -4.75 0.04 -6.09
C -3.87 -1.10 -5.58
C -3.43 -0.98 -4.17
O -2.69 -1.94 -3.57
C -3.90 0.06 -3.30
C -4.90 1.07 -3.80
C -5.36 1.22 -5.19
O -6.05 2.04 -5.63
H -4.75 0.32 -7.23
H -3.41 -1.82 -6.15
H -3.48 0.03 -2.25
H -5.01 2.03 -3.27
C 2.54 4.46 -0.31
C 1.60 3.82 0.74
C 2.37 2.95 1.84
O 1.72 2.29 2.69
C 3.80 2.76 1.69
C 4.52 3.25 0.53
C 3.86 3.98 -0.64
O 4.53 4.13 -1.63
H 2.12 4.99 -1.02
H 0.52 4.07 0.84
H 4.26 2.25 2.40
H 5.74 3.00 0.50
C -1.76 6.66 1.04